• Material:
# 1
The following is a quantum chemistry calculation of 2 unconnected molecules or ions with the total composition C4H4N2S in a non-equilibrium geometry, from the Open Molecules 2025 dataset.

Element x y z (Å)
C 0.52237 -0.47794 1.22227
C 0.76505 -1.09199 0.07318
C -1.33216 2.12502 -1.77993
C -0.84773 0.48092 -0.33247
N 0.15728 0.79682 0.64481
N 0.47938 0.16651 -0.68736
S -0.33639 2.30360 -3.00291
H 0.19689 -0.93059 2.27702
H 1.18571 -2.01120 -0.23883
H -2.12933 2.80688 -1.53757
H -1.62228 -0.30044 -0.12799

Results
Electronic energy   -662.231279 Ha
Relative energy (zero: lowest compared OMol25 entry of this formula, charge and spin)   8.010 eV
Frontier orbital gap   8.00 eV
Net charge   0
E_HOMO   -8.30 eV

# 2
The following is a quantum chemistry calculation of C4H4N2S in the gas phase in a non-equilibrium geometry, from the Open Molecules 2025 dataset.

Element x y z (Å)
S 0.37560 -2.29774 1.80047
C 0.21247 -1.57553 0.21963
C 0.16430 -0.24360 -0.02414
C -0.02918 0.50724 -1.23832
C -0.32268 1.76934 -0.77269
N -0.26982 1.79629 0.64093
N -0.01078 0.62719 1.06894
H 0.21360 -1.20052 2.60008
H 0.22061 -2.27225 -0.64067
H 0.04082 0.22375 -2.31456
H -0.59494 2.66583 -1.33968

Results
Electronic energy   -662.445253 Ha
Relative energy (zero: lowest compared OMol25 entry of this formula, charge and spin)   2.187 eV
SMILES   S/C=C1/C=CN=N1
Frontier orbital gap   8.17 eV
Net charge   0
E_HOMO   -9.14 eV

# 3
The following is a quantum chemistry calculation of C4H4N2S in the gas phase in a non-equilibrium geometry, from the Open Molecules 2025 dataset.

Element x y z (Å)
C 1.61731 1.49293 0.08118
C -1.89855 -0.32125 -0.27822
C 0.47818 -0.71590 -0.09000
C 1.30654 0.28753 0.65498
N 1.91548 2.48684 -0.43146
N -0.76568 -0.12619 0.29680
S -3.44657 0.25864 0.01419
H -1.93206 -1.05276 -1.09760
H 0.66045 -0.72570 -1.17125
H 0.59470 -1.73208 0.30669
H 1.47022 0.14794 1.71470

Results
Electronic energy   -662.368284 Ha
Relative energy (zero: lowest compared OMol25 entry of this formula, charge and spin)   4.282 eV
Frontier orbital gap (spin up / spin down)   9.06 / 5.75 eV
Net charge   0
E_HOMO (spin up / spin down)   -9.89 / -8.71 eV

# 4
The following is a quantum chemistry calculation of a gas-phase ion, C4H4N3O3 (charge +1) in a non-equilibrium geometry, from the Open Molecules 2025 dataset.

Element x y z (Å)
C -0.01625 0.50397 0.11059
C 0.50562 -0.69803 0.46292
C -1.73936 -1.35763 0.65069
C -3.51523 1.10818 -0.75992
N -1.37666 0.60881 0.27387
N -0.48954 -1.62628 0.86483
N -2.28307 1.17179 -0.68667
O -4.63296 0.96950 -0.82914
O -2.79023 -1.75536 0.85991
O 1.73247 -1.12348 0.66255
H 0.38510 1.44258 -0.35534
H -0.01112 -2.49710 0.89055
H -1.70620 1.99908 -1.14836
H 2.43858 -0.68293 0.25417

Results
Electronic energy   -544.388680 Ha
Relative energy (zero: lowest compared OMol25 entry of this formula, charge and spin)   2.907 eV
Frontier orbital gap   7.04 eV
Net charge   +1
E_HOMO   -12.25 eV

# 5
The following is a quantum chemistry calculation of C4H4N4 in the gas phase in a non-equilibrium geometry, from the Open Molecules 2025 dataset.

Element x y z (Å)
H -0.09792 -2.66681 -0.68057
N -0.02971 -1.97847 -1.32386
C 0.35773 -1.03872 -0.51989
C 0.73094 0.33127 -1.12025
N 0.00078 1.34509 -0.94525
C -0.72297 1.56069 0.12017
N -0.77171 1.04338 1.27056
C -0.10239 -0.12055 1.63642
N 0.57577 -0.96503 0.83884
H 1.50479 0.36246 -1.80854
H -1.45064 2.28716 0.17433
H 0.03797 -0.49382 2.73407

Results
Electronic energy   -373.736939 Ha
Relative energy (zero: lowest compared OMol25 entry of this formula, charge and spin)   2.938 eV
SMILES   [H]/N=c1/cncncn1
Frontier orbital gap   8.88 eV
Net charge   0
E_HOMO   -9.67 eV

# 6
The following is a quantum chemistry calculation of C4H4N4 in the gas phase in a non-equilibrium geometry, from the Open Molecules 2025 dataset.

Element x y z (Å)
H -0.58279 0.28148 -3.31474
N 0.25474 0.22239 -2.54141
C 0.01524 0.18656 -1.19566
C 1.06407 0.07376 -0.07869
C 1.11494 -0.45581 1.17813
N 0.09615 -0.91006 2.05043

• Work order:
It remains to quote every line further up that contains the word "phase".

• Solution:
The following is a quantum chemistry calculation of C4H4N2S in the gas phase in a non-equilibrium geometry, from the Open Molecules 2025 dataset.
The following is a quantum chemistry calculation of C4H4N2S in the gas phase in a non-equilibrium geometry, from the Open Molecules 2025 dataset.
The following is a quantum chemistry calculation of C4H4N4 in the gas phase in a non-equilibrium geometry, from the Open Molecules 2025 dataset.
The following is a quantum chemistry calculation of C4H4N4 in the gas phase in a non-equilibrium geometry, from the Open Molecules 2025 dataset.